This article is the first in a three-part series that will run on
One of us recently gave a presentation entitled “The Right Answers to the Wrong Questions”, which was subsequently the subject of a Canadian Investment Review blog post by Tris Lett. The presentation, and the book we are writing with the same title, traces the emergence of the branch of probability and statistics called Extreme Value Theory in parallel with models of prices in mathematical finance over the course of the 20th Century. This history reveals a number of missed opportunities which, if taken, would have changed the course of finance and in particular the course of financial crises.
One of the most crucial of these was (and still is) the failure of the finance industry to make use of Expected Shortfall and Extreme Value Theory to manage the risk of large losses–something the insurance industry has been doing for several decades.
........
[1]
The following is a DFT calculation (GGA-PBE) of crystalline ThUSb4 at its relaxed geometry.

Structure (CIF):
```
data_ThUSb4
_cell_length_a 4.365
_cell_length_b 4.365
_cell_length_c 8.941
_cell_angle_alpha 90.00
_cell_angle_beta 90.00
_cell_angle_gamma 90.00
_symmetry_space_group_name_H-M 'P 1'
_symmetry_Int_Tables_number 1
loop_
_symmetry_equiv_pos_as_xyz
'x,y,z'
loop_
_atom_site_label
_atom_site_type_symbol
_atom_site_fract_x
_atom_site_fract_y
_atom_site_fract_z
Th1 Th 0.000 0.000 0.000
U1 U 0.500 0.500 0.556
Sb1 Sb 0.000 0.000 0.628
Sb2 Sb 0.000 0.500 0.286
Sb3 Sb 0.500 0.000 0.286
Sb4 Sb 0.500 0.500 0.904
```

Properties
ΔH_f (0 K)   -0.6405 eV/atom
SG   P4mm
Final energy   -38.30 eV for the cell shown
Calculated volume   170 Å³ per cell
E (MP2020)   -6.511 eV/atom


[2]
The following is a DFT calculation (GGA-PBE) of crystalline CsNaB10H31N7 at its relaxed geometry.

Structure (CIF):
```
data_CsNaB10H31N7
_cell_length_a 8.761
_cell_length_b 14.154
_cell_length_c 17.909
_cell_angle_alpha 89.07
_cell_angle_beta 89.27
_cell_angle_gamma 81.70
_symmetry_space_group_name_H-M 'P 1'
_symmetry_Int_Tables_number 1
loop_
_symmetry_equiv_pos_as_xyz
'x,y,z'
loop_
_atom_site_label
_atom_site_type_symbol
_atom_site_fract_x
_atom_site_fract_y
_atom_site_fract_z
Cs1 Cs 0.221 0.005 0.120
Cs2 Cs 0.264 0.004 0.611
Cs3 Cs 0.736 0.996 0.389
Cs4 Cs 0.779 0.995 0.880
Na1 Na 0.138 0.347 0.346
Na2 Na 0.224 0.337 0.861
Na3 Na 0.776 0.663 0.139
Na4 Na 0.862 0.653 0.654
B1 B 0.123 0.801 0.373
B2 B 0.136 0.812 0.890
B3 B 0.163 0.924 0.363
B4 B 0.180 0.847 0.290
B5 B 0.181 0.864 0.453
B6 B 0.184 0.931 0.907
B7 B 0.194 0.885 0.813
B8 B 0.199 0.844 0.974
B9 B 0.283 0.746 0.429
B10 B 0.291 0.763 0.828
B11 B 0.308 0.758 0.329
B12 B 0.321 0.759 0.928
B13 B 0.340 0.920 0.414
B14 B 0.349 0.881 0.318
B15 B 0.359 0.931 0.853
B16 B 0.367 0.827 0.477
B17 B 0.369 0.878 0.945
B18 B 0.378 0.849 0.784
B19 B 0.443 0.803 0.390
B20 B 0.456 0.810 0.867
B21 B 0.544 0.190 0.133
B22 B 0.557 0.197 0.610
B23 B 0.622 0.151 0.216
B24 B 0.631 0.122 0.055
B25 B 0.633 0.173 0.523
B26 B 0.641 0.069 0.147
B27 B 0.651 0.119 0.682
B28 B 0.660 0.080 0.586
B29 B 0.679 0.241 0.072
B30 B 0.692 0.242 0.671
B31 B 0.709 0.237 0.172
B32 B 0.717 0.254 0.571
B33 B 0.801 0.156 0.026
B34 B 0.806 0.115 0.187
B35 B 0.816 0.069 0.093
B36 B 0.819 0.136 0.547
B37 B 0.820 0.153 0.710
B38 B 0.837 0.076 0.637
B39 B 0.864 0.188 0.110
B40 B 0.877 0.199 0.627
H1 H 0.000 0.353 0.191
H2 H 0.000 0.647 0.809
H3 H 0.001 0.533 0.793
H4 H 0.003 0.769 0.377
H5 H 0.013 0.783 0.885
H6 H 0.042 0.564 0.341
H7 H 0.054 0.474 0.588
H8 H 0.080 0.999 0.358
H9 H 0.084 0.889 0.500
H10 H 0.089 0.697 0.106
H11 H 0.095 0.500 0.956
H12 H 0.097 0.919 0.769
H13 H 0.106 0.007 0.918
H14 H 0.107 0.664 0.194
H15 H 0.112 0.229 0.001
H16 H 0.113 0.172 0.258
H17 H 0.120 0.205 0.741
H18 H 0.120 0.264 0.514
H19 H 0.120 0.853 0.231
H20 H 0.121 0.553 0.423
H21 H 0.137 0.739 0.588
H22 H 0.140 0.584 0.128
H23 H 0.141 0.841 0.034
H24 H 0.156 0.403 0.176
........
Here’s how it would have affected a manager with $10 million invested in Citigroup shares at the end of January 2007. In the previous 250 days, the worst one day loss on the Citigroup position was 2.47% or $247,000. How much worse could a 1-day loss be? While it is impossible to put a bound on this (aside from the knowledge that a stock price can go to zero), there is a useful answer, on average. Expected Shortfall, conditional on a loss of more than 2.47%, is the average of all returns below -2.47%.
By our calculations such an event could have been expected once in 136 days and the average of such losses would be 3.73%. In other words, our analysis said that a worse result was quite likely and that on average it would be about half again as great as the previous low, exposing the manager to a loss of $373,000. Armed with this information, he could have managed the risk by re-sizing the position if necessary.
Simple enough. But surely you can only calculate Expected Shortfall if you have a model for the Citigroup returns? Fortunately, you only need a model of the tail of the Citigroup returns, a much more tractable problem.
This is one of the lessons of Extreme Value Theory (EVT): the extreme events depend only on the tails of the distribution and must be studied in their own right. This is a very good thing indeed as the search for an adequate model of financial returns is a problem which might never be solved. By contrast, good models of tails of returns distributions have been available for more than thirty years.
The EVT story began in 1928 with a landmark paper by statisticians Ronald Fisher and L.H.C. Tippett. They showed that the largest or smallest values in a sample of independent draws from a given distribution could only behave in three ways, regardless of what distribution the samples were taken from.
We can give a rough summary of their results by saying that the nature of these extreme values depends only on a number now called the ‘shape parameter’. (While it was by no means obvious at the time, it eventually became clear that only one of the three types of distributions discovered by Fisher and Tippett was appropriate in finance and the shape parameter in this case is essentially a count of the number of finite moments. The limiting case of an infinite shape parameter is the case which describes the extremes of, for example, a Normal distribution. Typical financial data, on the other hand, corresponds to shape parameters in the range from 2 to 5–vastly different from Normal.)
The smaller the shape parameter, the ‘fatter’ the tail and the greater the propensity for extreme events. The contrast is quite apparent in the Citigroup example. According to a Normal distribution model the frequency of a loss of at least 2.47% was only 1 day in 717 and the average such loss was 2.71%.
On 27 February 2007 Citigroup lost 3.93% so the manager’s position was down $393,000. This was only $20,000 worse than the EVT estimate but it was $122,000 worse than the Normal model’s prediction. The contrast between the EVT and Normal estimates is entirely typical. The EVT model predicts much more frequent and much larger losses than the Normal model–exactly what is observed in financial markets.
# These data records were left in the page by mistake
********
Record 1
r²SCAN BaHg11, optimized geometry; symmetry = Pm-3m (221); energy of formation from the pure elements = -3.98 kcal/mol of atoms; total DFT energy (no corrections) = -47.63 eV per atom; magnetic moment = 0.00 μB per cell
1.0
9.996 0.000 0.000
0.000 9.996 0.000
0.000 0.000 9.996
Ba Hg
3 33
direct
0.000 0.000 0.500
0.000 0.500 0.000
0.500 0.000 0.000
0.000 0.345 0.345
0.000 0.345 0.655
0.000 0.655 0.345
0.000 0.655 0.655
0.153 0.153 0.153
0.153 0.153 0.847
0.153 0.847 0.153
0.153 0.847 0.847
0.267 0.267 0.500
0.267 0.500 0.267
0.267 0.500 0.733
0.267 0.733 0.500
0.345 0.000 0.345
0.345 0.000 0.655
0.345 0.345 0.000
0.345 0.655 0.000
0.500 0.267 0.267
0.500 0.267 0.733
0.500 0.500 0.500
0.500 0.733 0.267
0.500 0.733 0.733
0.655 0.000 0.345
0.655 0.000 0.655
0.655 0.345 0.000
0.655 0.655 0.000
0.733 0.267 0.500
0.733 0.500 0.267
0.733 0.500 0.733
0.733 0.733 0.500
0.847 0.153 0.153
0.847 0.153 0.847
0.847 0.847 0.153
0.847 0.847 0.847

---

Record 2
r²SCAN Ba2InHg, optimized geometry; symmetry = Fm-3m (225); energy of formation from the pure elements = -11.89 kcal/mol of atoms; total DFT energy (no corrections) = -31.75 eV per atom; magnetic moment = 0.00 μB per cell
1.0
0.000 4.235 4.235
4.235 0.000 4.235
4.235 4.235 0.000
Ba In Hg
2 1 1
direct
0.250 0.250 0.250
0.750 0.750 0.750
0.000 0.000 0.000
0.500 0.500 0.500

---

Record 3
r²SCAN Ba2HgPb, optimized geometry; symmetry = Fm-3m (225); energy of formation from the pure elements = -15.79 kcal/mol of atoms; total DFT energy (no corrections) = -40.35 eV per atom; magnetic moment = 0.00 μB per cell
1.0
0.000 4.260 4.260
4.260 0.000 4.260
4.260 4.260 0.000
Ba Hg Pb
2 1 1
direct
0.250 0.250 0.250
0.750 0.750 0.750
0.000 0.000 0.000
0.500 0.500 0.500

---

Record 4
r²SCAN BaHg2Pb, optimized geometry; symmetry = Fm-3m (225); energy of formation from the pure elements = -10.77 kcal/mol of atoms; total DFT energy (no corrections) = -45.85 eV per atom; magnetic moment = 0.00 μB per cell
1.0
0.000 3.950 3.950
3.950 0.000 3.950
3.950 3.950 0.000
Ba Hg Pb
1 2 1
direct
0.000 0.000 0.000
0.250 0.250 0.250
0.750 0.750 0.750
0.500 0.500 0.500

---

> Number 3 is which compound?

Ba2HgPb

---

> What is the formula in the second record?

Ba2InHg

---

> Which of these has the highest energy of formation from the pure elements?

BaHg11
********
While Fisher and Tippett’s discovery was made well in advance of the 1929 Crash, it couldn’t have contributed much to risk management in that crisis, even if investors had been making statistical studies of price movements. There was a catch. Fisher and Tippett had no general method for determining the shape parameter for a given distribution. That would take another 15 years to emerge in a paper by Igor Gnedenko.
Even after Gnedenko’s discoveries, determining the shape parameter from data, rather than from a formula for the distribution, was a problem that would take a further thirty years to solve. In 1975 James Picklands III published a paper that contained statistical tests to determine the shape parameter. He also provided an effective tail model which approximated the Extreme Value Distribution with that shape. With Picklands’ results, the modern era of EVT began.
We have recently developed highly efficient new statistical tools with which to implement EVT tail models. In the next installment of this article we travel back in time to January 1929 to see how, armed with our new technology, a US equity investor would have fared in the run-up to the 1929 Crash.
Shadwick and Cascon’s series on Extreme Value Theory will continue next week.
Ana Cascon and William F. Shadwick are with Omega Analysis Limited in London, England. Their Book, The Right Answers To The Wrong Questions, is represented by Sophie Hicks at the Ed Victor Agency, London.